== Wanted ==
The reader should give back the whole of the contents below without altering anything.

== Data ==
********
The following is a DFT calculation (PBE-GGA) of an optimized crystal structure of Eu2Si3Ni8.

a b c (Å): 9.989 9.989 7.488
angles (deg): 90.00 90.00 90.00
Sites, in units of the cell vectors:
Eu 0.044 0.750 0.108
Eu 0.250 0.544 0.392
Eu 0.250 0.956 0.392
Eu 0.456 0.750 0.108
Eu 0.544 0.250 0.892
Eu 0.750 0.044 0.608
Eu 0.750 0.456 0.608
Eu 0.956 0.250 0.892
Si 0.042 0.542 0.750
Si 0.042 0.958 0.750
Si 0.250 0.250 0.015
Si 0.250 0.250 0.515
Si 0.458 0.542 0.750
Si 0.458 0.958 0.750
Si 0.542 0.042 0.250
Si 0.542 0.458 0.250
Si 0.750 0.750 0.485
Si 0.750 0.750 0.985
Si 0.958 0.042 0.250
Si 0.958 0.458 0.250
Ni 0.043 0.123 0.532
Ni 0.043 0.377 0.532
Ni 0.113 0.250 0.257
Ni 0.122 0.750 0.648
Ni 0.123 0.043 0.032
Ni 0.123 0.457 0.032
Ni 0.250 0.113 0.757
Ni 0.250 0.387 0.757
Ni 0.250 0.622 0.852
Ni 0.250 0.878 0.852
Ni 0.377 0.043 0.032
Ni 0.377 0.457 0.032
Ni 0.378 0.750 0.648
Ni 0.387 0.250 0.257
Ni 0.457 0.123 0.532
Ni 0.457 0.377 0.532
Ni 0.543 0.623 0.468
Ni 0.543 0.877 0.468
Ni 0.613 0.750 0.743
Ni 0.622 0.250 0.352
Ni 0.623 0.543 0.968
Ni 0.623 0.957 0.968
Ni 0.750 0.122 0.148
Ni 0.750 0.378 0.148
Ni 0.750 0.613 0.243
Ni 0.750 0.887 0.243
Ni 0.877 0.543 0.968
Ni 0.877 0.957 0.968
Ni 0.878 0.250 0.352
Ni 0.887 0.750 0.743
Ni 0.957 0.623 0.468
Ni 0.957 0.877 0.468

Computed properties:
**SG**: P4_2/nmc
**Calculated formation energy**: -538 meV/atom


(1)
First-principles (PBE with a Hubbard U) data for an optimized crystal structure of MgCoP2O7, as listed in Materials Project.

abc: 7.0801 9.5631 8.3254
angles: 100.64 82.04 109.05
Element x y z (fractional)
O (0.4925, 0.2184, 0.9664)
O (0.8172, 0.0420, 0.0102)
Mg (0.3121, 0.4279, 0.2664)
O (0.9172, 0.7717, 0.1408)
O (0.2315, 0.5632, 0.1518)
O (0.3923, 0.5295, 0.8574)
O (0.0829, 0.2284, 0.8596)
Mg (0.8126, 0.9285, 0.7661)
O (0.0080, 0.2821, 0.5334)
Mg (0.6874, 0.5719, 0.7334)
O (0.6640, 0.1807, 0.4242)
O (0.7323, 0.0644, 0.6519)
O (0.2683, 0.9359, 0.3483)
O (0.1016, 0.2399, 0.1628)
P (0.1663, 0.8609, 0.4962)
P (0.3331, 0.6387, 0.0041)
O (0.8370, 0.3197, 0.0751)
O (0.8976, 0.7599, 0.8378)
Co (0.8034, 0.6155, 0.2999)
P (0.6664, 0.3613, 0.9960)
O (0.5834, 0.7295, 0.3600)
P (0.0384, 0.7962, 0.9739)
Co (0.6967, 0.8853, 0.1991)
O (0.1073, 0.9707, 0.6423)
O (0.1822, 0.9579, 0.9898)
O (0.3365, 0.8194, 0.5761)
O (0.3184, 0.5420, 0.5100)
P (0.4616, 0.7040, 0.5264)
O (0.7680, 0.4364, 0.8480)
O (0.3985, 0.2595, 0.3368)
Co (0.1969, 0.3844, 0.7000)
Mg (0.1876, 0.0714, 0.2337)
P (0.8342, 0.1390, 0.5037)
O (0.4171, 0.2706, 0.6400)
P (0.9613, 0.2038, 0.0263)
O (0.6077, 0.4709, 0.1424)
O (0.1624, 0.6801, 0.9251)
Co (0.3038, 0.1150, 0.7998)
P (0.5388, 0.2960, 0.4734)
O (0.5061, 0.7819, 0.0344)
O (0.6818, 0.4580, 0.4899)
O (0.6020, 0.7405, 0.6630)
O (0.9927, 0.7178, 0.4663)
O (0.8928, 0.0291, 0.3577)

Calculated values
ΔE to the lowest computed polymorph: 2.2 kJ/mol of atoms
ΔE_f: -250.4 kJ/mol of atoms



(2)
First-principles (PBE with a Hubbard U) data for an optimized crystal structure of NaMnO2, as listed in Materials Project.

abc: 4.4688 5.4003 4.4861
angles: 65.48 90.01 65.62
Element x y z (fractional)
O (0.9075, 0.6858, 0.6589)
O (0.0950, 0.3122, 0.3462)
O (0.3464, 0.8121, 0.0910)
Mn (0.8762, 0.7487, 0.1227)
Mn (0.1248, 0.2493, 0.8723)
Na (0.6276, 0.2463, 0.3757)
O (0.6611, 0.1859, 0.9062)
Na (0.3750, 0.7507, 0.6213)

Calculated values
ΔE to the lowest computed polymorph: 10.9 kJ/mol of atoms
ΔE_f: -185.0 kJ/mol of atoms



(3)
First-principles (PBE with a Hubbard U) data for an optimized crystal structure of Li5Nb2Fe3O10, as listed in Materials Project.

abc: 5.3359 7.9827 10.5259
angles: 108.01 80.86 108.89
Element x y z (fractional)
O (0.7821, 0.7550, 0.6185)
Fe (0.6940, 0.8958, 0.5012)
O (0.1571, 0.5459, 0.1188)
O (0.0493, 0.8394, 0.8779)
Li (0.2280, 0.3986, 0.2424)
O (0.4222, 0.6480, 0.8790)
Nb (0.1060, 0.6889, 0.9910)
O (0.3352, 0.9390, 0.6163)
O (0.6647, 0.0610, 0.8834)
Li (0.6028, 0.2033, 0.2531)
O (0.8435, 0.4542, 0.8814)
Nb (0.8942, 0.3119, 0.0094)
Li (0.7727, 0.6013, 0.7573)
********

== Done ==
The following is a DFT calculation (PBE-GGA) of an optimized crystal structure of Eu2Si3Ni8.

a b c (Å): 9.989 9.989 7.488
angles (deg): 90.00 90.00 90.00
Sites, in units of the cell vectors:
Eu 0.044 0.750 0.108
Eu 0.250 0.544 0.392
Eu 0.250 0.956 0.392
Eu 0.456 0.750 0.108
Eu 0.544 0.250 0.892
Eu 0.750 0.044 0.608
Eu 0.750 0.456 0.608
Eu 0.956 0.250 0.892
Si 0.042 0.542 0.750
Si 0.042 0.958 0.750
Si 0.250 0.250 0.015
Si 0.250 0.250 0.515
Si 0.458 0.542 0.750
Si 0.458 0.958 0.750
Si 0.542 0.042 0.250
Si 0.542 0.458 0.250
Si 0.750 0.750 0.485
Si 0.750 0.750 0.985
Si 0.958 0.042 0.250
Si 0.958 0.458 0.250
Ni 0.043 0.123 0.532
Ni 0.043 0.377 0.532
Ni 0.113 0.250 0.257
Ni 0.122 0.750 0.648
Ni 0.123 0.043 0.032
Ni 0.123 0.457 0.032
Ni 0.250 0.113 0.757
Ni 0.250 0.387 0.757
Ni 0.250 0.622 0.852
Ni 0.250 0.878 0.852
Ni 0.377 0.043 0.032
Ni 0.377 0.457 0.032
Ni 0.378 0.750 0.648
Ni 0.387 0.250 0.257
Ni 0.457 0.123 0.532
Ni 0.457 0.377 0.532
Ni 0.543 0.623 0.468
Ni 0.543 0.877 0.468
Ni 0.613 0.750 0.743
Ni 0.622 0.250 0.352
Ni 0.623 0.543 0.968
Ni 0.623 0.957 0.968
Ni 0.750 0.122 0.148
Ni 0.750 0.378 0.148
Ni 0.750 0.613 0.243
Ni 0.750 0.887 0.243
Ni 0.877 0.543 0.968
Ni 0.877 0.957 0.968
Ni 0.878 0.250 0.352
Ni 0.887 0.750 0.743
Ni 0.957 0.623 0.468
Ni 0.957 0.877 0.468

Computed properties:
**SG**: P4_2/nmc
**Calculated formation energy**: -538 meV/atom


(1)
First-principles (PBE with a Hubbard U) data for an optimized crystal structure of MgCoP2O7, as listed in Materials Project.

abc: 7.0801 9.5631 8.3254
angles: 100.64 82.04 109.05
Element x y z (fractional)
O (0.4925, 0.2184, 0.9664)
O (0.8172, 0.0420, 0.0102)
Mg (0.3121, 0.4279, 0.2664)
O (0.9172, 0.7717, 0.1408)
O (0.2315, 0.5632, 0.1518)
O (0.3923, 0.5295, 0.8574)
O (0.0829, 0.2284, 0.8596)
Mg (0.8126, 0.9285, 0.7661)
O (0.0080, 0.2821, 0.5334)
Mg (0.6874, 0.5719, 0.7334)
O (0.6640, 0.1807, 0.4242)
O (0.7323, 0.0644, 0.6519)
O (0.2683, 0.9359, 0.3483)
O (0.1016, 0.2399, 0.1628)
P (0.1663, 0.8609, 0.4962)
P (0.3331, 0.6387, 0.0041)
O (0.8370, 0.3197, 0.0751)
O (0.8976, 0.7599, 0.8378)
Co (0.8034, 0.6155, 0.2999)
P (0.6664, 0.3613, 0.9960)
O (0.5834, 0.7295, 0.3600)
P (0.0384, 0.7962, 0.9739)
Co (0.6967, 0.8853, 0.1991)
O (0.1073, 0.9707, 0.6423)
O (0.1822, 0.9579, 0.9898)
O (0.3365, 0.8194, 0.5761)
O (0.3184, 0.5420, 0.5100)
P (0.4616, 0.7040, 0.5264)
O (0.7680, 0.4364, 0.8480)
O (0.3985, 0.2595, 0.3368)
Co (0.1969, 0.3844, 0.7000)
Mg (0.1876, 0.0714, 0.2337)
P (0.8342, 0.1390, 0.5037)
O (0.4171, 0.2706, 0.6400)
P (0.9613, 0.2038, 0.0263)
O (0.6077, 0.4709, 0.1424)
O (0.1624, 0.6801, 0.9251)
Co (0.3038, 0.1150, 0.7998)
P (0.5388, 0.2960, 0.4734)
O (0.5061, 0.7819, 0.0344)
O (0.6818, 0.4580, 0.4899)
O (0.6020, 0.7405, 0.6630)
O (0.9927, 0.7178, 0.4663)
O (0.8928, 0.0291, 0.3577)

Calculated values
ΔE to the lowest computed polymorph: 2.2 kJ/mol of atoms
ΔE_f: -250.4 kJ/mol of atoms



(2)
First-principles (PBE with a Hubbard U) data for an optimized crystal structure of NaMnO2, as listed in Materials Project.

abc: 4.4688 5.4003 4.4861
angles: 65.48 90.01 65.62
Element x y z (fractional)
O (0.9075, 0.6858, 0.6589)
O (0.0950, 0.3122, 0.3462)
O (0.3464, 0.8121, 0.0910)
Mn (0.8762, 0.7487, 0.1227)
Mn (0.1248, 0.2493, 0.8723)
Na (0.6276, 0.2463, 0.3757)
O (0.6611, 0.1859, 0.9062)
Na (0.3750, 0.7507, 0.6213)

Calculated values
ΔE to the lowest computed polymorph: 10.9 kJ/mol of atoms
ΔE_f: -185.0 kJ/mol of atoms



(3)
First-principles (PBE with a Hubbard U) data for an optimized crystal structure of Li5Nb2Fe3O10, as listed in Materials Project.

abc: 5.3359 7.9827 10.5259
angles: 108.01 80.86 108.89
Element x y z (fractional)
O (0.7821, 0.7550, 0.6185)
Fe (0.6940, 0.8958, 0.5012)
O (0.1571, 0.5459, 0.1188)
O (0.0493, 0.8394, 0.8779)
Li (0.2280, 0.3986, 0.2424)
O (0.4222, 0.6480, 0.8790)
Nb (0.1060, 0.6889, 0.9910)
O (0.3352, 0.9390, 0.6163)
O (0.6647, 0.0610, 0.8834)
Li (0.6028, 0.2033, 0.2531)
O (0.8435, 0.4542, 0.8814)
Nb (0.8942, 0.3119, 0.0094)
Li (0.7727, 0.6013, 0.7573)